Motivation is one of the most coveted and talked about feelings. It’s important to know that motivation is just that: a feeling. This means the motivation comes and goes, just like feelings do, depending on your situation. This also means that you have limited control over whether or not you feel motivated. Just like other emotions (such as happiness or peacefulness), you can’t magically conjure motivation. The problem is, many base their actions on whether that feeling is there. This is risky and leads to inaction, self sabotage, avoidance, or even self-loathing.
While you aren’t sovereign over when you feel motivated, you do have the power to influence your feelings. In this article we are going to focus on some basic tools that you can implement to help you stay consistent regardless of your emotions or circumstances.
## Between two parts of the page: calculated molecules
┌──
[1]
34
Properties=species:S:1:pos:R:3:forces:R:3:nbo_charge:R:1 method="wB97M-V/def2-TZVPD" gap_ev=8.1 fmax_ha_per_bohr=0.0159 e_above_lowest_kcal_mol=0.0
C 2.19078 1.55061 0.27816 -0.2 0.0 0.1 -0.6829
C 1.55653 2.62822 -0.57783 0.7 -0.1 0.3 -0.1451
I 2.89370 3.87997 -1.56334 0.0 0.1 0.0 0.1880
C 0.24520 2.76527 -0.63704 -0.7 0.0 0.0 -0.1879
I -0.70875 4.29055 -1.69991 -0.1 -0.1 -0.1 0.1572
C -0.63915 1.70822 -0.01349 -0.2 -0.3 0.1 -0.2942
C -0.96517 0.60982 -1.04038 -0.3 0.2 -0.1 -0.4422
C -1.56524 -0.59954 -0.35694 0.1 0.0 -0.1 -0.2495
N -2.80742 -0.20554 0.42240 -0.1 -0.2 0.1 -0.4969
C -2.65714 1.01367 1.30385 0.0 0.1 0.1 -0.2144
C -1.97142 2.17000 0.58334 0.0 0.0 0.0 -0.4234
H 2.02091 1.78861 1.33706 0.1 0.0 -0.1 0.2218
H 1.71262 0.58530 0.08352 0.4 0.1 0.0 0.2567
H 3.26500 1.47091 0.12983 -0.1 0.0 -0.1 0.2461
H -0.08343 1.24345 0.81493 0.0 0.1 -0.2 0.2387
H -0.08840 0.28067 -1.60061 0.0 0.0 0.2 0.2970
H -1.68256 1.02460 -1.76732 0.2 -0.1 0.0 0.2043
H -1.85768 -1.37358 -1.07152 -0.1 0.1 0.1 0.2360
H -0.86504 -1.04348 0.35720 -0.1 0.1 -0.1 0.2816
H -3.04410 -0.99815 1.02194 -0.1 0.1 -0.1 0.4342
H -3.59781 -0.08444 -0.21302 0.1 0.1 0.0 0.4214
H -3.66328 1.29285 1.62563 0.1 -0.1 0.0 0.2230
H -2.09228 0.69141 2.18246 0.0 0.0 -0.2 0.2255
H -1.82006 2.97225 1.31265 -0.1 -0.1 -0.1 0.2468
H -2.62533 2.55094 -0.21076 0.1 0.0 0.2 0.2225
N 2.77819 -3.06145 -0.49148 -0.5 -0.1 0.0 -1.2142
S 2.78416 -4.35642 0.45753 0.2 0.1 0.1 2.5190
O 1.95492 -5.40809 -0.02709 0.0 0.0 0.0 -0.9232
O 2.77723 -4.04280 1.84705 0.0 0.0 0.0 -0.9227
F 4.25561 -4.79115 0.13244 0.0 0.0 0.0 -0.4847
S 1.47306 -2.23770 -0.57955 0.4 0.0 -0.1 2.5215
O 1.53290 -1.26723 -1.63203 0.1 -0.1 0.0 -0.9603
O 0.92658 -1.77638 0.67294 0.0 0.0 0.1 -0.9883
F 0.36688 -3.27141 -1.08062 -0.1 0.1 0.0 -0.5113

***

[2]
84
Properties=species:S:1:pos:R:3:forces:R:3:lowdin_charge:R:1 method="wB97M-V/def2-TZVPD" gap_ev="6.2 / 6.6" fmax_ha_per_bohr=0.0620 s_squared=0.757 charge=+1 e_above_lowest_kcal_mol=0.0 multiplicity=2
Ti -0.63557 0.28071 -0.78815 -0.2 0.2 0.1 0.1156
C 6.19559 4.25897 1.95978 -0.5 -0.5 -0.4 -0.0594
C 5.61423 3.94434 3.19304 -0.1 0.2 0.0 -0.0628
C 4.33878 3.35699 3.23324 0.1 0.0 0.1 -0.1255
C 3.66341 3.06038 2.05101 -1.4 0.2 0.1 -0.3876
C 4.20274 3.43717 0.83851 0.8 -0.5 -0.8 -0.1624
C 5.49941 3.95147 0.77076 -0.1 0.0 1.2 -0.0606
Sb 1.51521 2.50192 2.05539 1.0 0.2 0.4 1.6605
C 1.16902 0.46012 0.40879 0.4 0.9 -0.2 -0.4860
C 2.34122 0.80083 -0.36483 -0.5 0.0 1.3 -0.1954
C 3.56449 0.25689 -0.03001 1.6 0.3 -1.2 -0.0954
C 3.71071 -0.70813 0.94906 -2.3 0.2 0.5 -0.0338
C 2.55218 -1.05589 1.67654 0.7 0.0 0.7 -0.0741
C 1.31146 -0.42788 1.49401 1.4 0.0 -0.1 -0.2071
C 1.66259 1.68859 4.04607 -0.1 -1.1 0.2 -0.4301
C 2.70858 0.79028 4.35691 -0.5 -0.2 0.5 -0.1401
C 2.60882 -0.03950 5.50547 1.4 0.3 -1.1 -0.0738
C 1.53583 0.05767 6.34348 -1.1 1.0 0.4 -0.0851
C 0.52499 0.99705 6.09091 -0.7 -0.4 -0.1 -0.0751
C 0.55537 1.76260 4.92651 0.4 0.0 -0.2 -0.1397
H 7.19127 4.70767 1.89842 -0.4 -0.2 0.1 0.1127
└──
1. Reframe your inner dialogue
Typically a negative soundtrack in your mind (aka your inner critic) interferes with your ability to stay motivated. If you have a constant voice that questions your ability to accomplish tasks, tells you that you’re incapable, or places a consistent voice of doubt, you will be sure to feel drained and want to quit. Reframing means allowing your inner voice to become an encourager or a coach to yourself when you take on hard things. Reframing your dialogue can looks like:
- Daily positive affirmations - listing your skills, strengths, capabilities to yourself each day
- Negating or challenging the critical thoughts - “I’m not going there right now, that is not a kind way to speak to myself”
- Owning your mistakes or weaknesses but allowing it to be an opportunity for growth. “I’m learning from this so I can do it better next time”
- Validating any frustrations you have but not letting it stop you “I feel tired, but I will still practice these new habits that I committed to”
2. Reforming your core beliefs
Your core beliefs are your central beliefs on yourself, others, and the world. They act as a lens in how you perceive life circumstances. For example, you might struggle with negative core beliefs about yourself - such as being unlovable, helpless, unskilled, or worthless. If those beliefs underlie your perspective, you will never feel motivated enough to change - because you don’t actually believe that you can. Even if others affirm you or try to change your mind, it will never feel enough to you because you are internally at war with yourself. The only one that can change your core beliefs is you. Once your core beliefs support your efforts and your intrinsic value, motivation will come naturally - because you believe in your ability to change or accomplish tasks!
The good news is that this is completely in your control and completely attainable. It just requires being aware of it in the first place. Changing your core beliefs can be done by:
- Being aware of the negative beliefs and challenging them
- Suggesting an alternative to the negative belief “I’m not unskilled altogether, I just lack skills in this area but I will work on learning them”.
- Socratic questioning/examining evidence - asking analytical questions and analyzing data in your life to assess if the belief is accurate. This also requires that you seek evidence that goes against your negative core beliefs such as recalling a time in your life that you succeeded or brought value to a situation.
3. Focus on your inner locus of control
An inner locus focus means that you are more consumed with what you have influence or control over. This means you put your focus on your actions, habits, your mindset, and your skills….rather than hyperfocusing on your fleeting emotions, others’ behaviors, what your providers are doing, how others perceive you, or anything else that you can’t control (external locus focus). When you have an inner locus perspective, you are empowered. When you are empowered, you know “I can do this”. And motivation flows as a result.
4. Keep your goals SMART
SMART goals are specific, measurable, attainable, relevant and time-bound. If your goals are vague and perfectionistic, you are setting yourself up to fail and be frustrated. When it comes to motivating yourself, it is especially important to be specific and time-bound. This means you keep yourself on a short leash with small, specific goals that you are setting. No one is able to stay motivated with lofty goals that take a lot of time and effort. SMART goals also require that you break up your goals into smaller pieces, or accomplishing your goals into smaller stages. So if your goal is to lose 40 lbs, you focus instead on how you can lose 2 lbs at a time.
5. Reward the small wins
Positive reinforcements help you to celebrate small victories and keep your momentum going. Your reinforcements are whatever naturally excite you or motivate you. For example, maybe you get a small square of dark chocolate for every 1 hour of desk work you accomplish. Or maybe you and your spouse go out to dinner after successfully deep cleaning your house. Small reinforcements give you something to look forward to when you are facing mundane or difficult tasks.
6. Surround yourself with accountability
It’s hard to meet difficult or new goals on your own. Having accountability helps you stay consistent when you want to quit. Accountability partners can be family, friends, counselors, or any professionals.
Motivation is fleeting and can’t be expected to always be there. Those who succeed at meeting their goals aren’t magically staying motivated each minute - they just know how to set up a positive environment for themselves to succeed. Helping yourself stay consistent requires self-compassion: acknowledging your limits, reframing your negative thoughts/mindset, and being willing to reward yourself along the way. Bottom line: you can do this.
If you are struggling with motivation relating to your mental health, addiction, or relationship issues, seeking professional guidance is important. Our case managers, medical providers, and therapists can help provide you with essential tools and reinforcements. Contact us for more information.